Material
~~~
No. 1
ORCA calculation (wB97M-V/def2-TZVPD) on a molecular structure, C22H25CrN6O7STe.

**Net charge**: 0
**Multiplicity**: 2
**ΔE to the lowest compared entry with this formula, charge and spin**: 8.4 kcal/mol
**Energy**: -3419.20044 hartree
**HOMO-LUMO gap (alpha / beta)**: 6.24 / 6.28 eV

Atoms and positions in Å:
Cr -0.297 -0.360 0.491
N 3.626 0.889 1.557
C 2.889 -0.071 0.978
N 1.627 0.237 1.141
C 1.640 1.421 1.809
N 2.847 1.851 2.088
C 0.368 2.118 2.039
C 0.261 3.358 2.649
N -0.903 3.988 2.755
C -1.963 3.380 2.230
C -1.875 2.137 1.623
N -0.714 1.502 1.545
H 4.627 0.972 1.601
H 3.266 -0.920 0.430
H 1.141 3.847 3.049
H -2.909 3.902 2.287
H -2.727 1.642 1.171
O -2.546 -2.695 0.706
C -2.843 -1.698 0.085
O -2.199 -0.559 0.073
H -3.746 -1.680 -0.553
C 0.602 -4.116 -1.572
S 0.668 -2.347 -1.601
O -0.377 -1.886 -2.472
O 2.030 -1.975 -1.903
O 0.359 -2.028 -0.140
H 0.821 -4.470 -2.576
H -0.398 -4.413 -1.264
H 1.352 -4.470 -0.868
O 0.147 0.738 -0.859
O -0.702 1.719 -1.414
C -0.931 -2.739 4.721
C 0.191 -2.964 3.941
C 0.368 -2.210 2.797
N -0.499 -1.271 2.412
C -1.588 -1.072 3.157
C -1.838 -1.772 4.321
H -1.101 -3.315 5.621
H 0.916 -3.720 4.207
H 1.213 -2.366 2.140
H -2.289 -0.338 2.783
H -2.738 -1.575 4.886
C -2.591 6.395 -5.785
C -2.550 5.168 -4.914
C -2.533 5.267 -3.530
C -2.507 4.140 -2.715
C -2.502 4.335 -1.221
C -2.483 2.869 -3.306
Te -2.531 1.133 -2.074
C -2.479 2.749 -4.705
C -2.440 1.415 -5.408
C -2.521 3.902 -5.482
H -2.565 7.305 -5.187
H -3.499 6.413 -6.391
H -1.741 6.413 -6.470
H -2.542 6.250 -3.071
H -2.442 5.395 -0.973
H -1.654 3.823 -0.766
H -3.415 3.927 -0.780
H -1.811 0.703 -4.877
H -2.061 1.529 -6.423
H -3.441 0.982 -5.477
H -2.518 3.807 -6.563

No. 2
ORCA calculation (wB97M-V/def2-TZVPD) on a molecular structure, C22H25GeIN3Se3TeV at a distorted geometry.

**Net charge**: -1
**Multiplicity**: 4
**ΔE to the lowest compared entry with this formula, charge and spin**: 41.0 kcal/mol
**Energy**: -11808.60143 hartree
**HOMO-LUMO gap (alpha / beta)**: 6.52 / 5.26 eV

Atoms and positions in Å:
V -0.887 -0.682 1.997
Se 0.817 -2.301 3.297
Se 0.873 -1.216 5.359
Te 1.809 0.967 4.586
Se 0.336 1.413 2.677
I -2.746 -0.436 4.233
C -3.382 1.317 3.332
C -4.048 2.222 4.100
C -4.610 3.372 3.486
C -4.534 3.519 2.135
C -3.850 2.566 1.331
C -3.843 2.682 -0.087
C -3.211 1.745 -0.842
C -2.474 0.705 -0.214
C -2.380 0.556 1.151
C -3.184 1.472 1.925
H -4.170 2.062 5.163
H -5.122 4.107 4.094
H -5.004 4.365 1.645
H -4.363 3.515 -0.548
H -3.237 1.805 -1.924
H -1.935 0.025 -0.866
N -1.512 -2.263 1.100
C -1.914 -3.164 0.483
C -2.405 -4.196 -0.284
C -2.650 -3.949 -1.675
N -2.844 -3.732 -2.791
C -2.662 -5.476 0.305
N -2.876 -6.505 0.777
C 6.023 0.943 -1.044
C 5.161 0.155 -0.067
C 3.671 0.389 -0.285
C 2.761 -0.425 0.639
Ge 0.878 -0.211 0.187
C 0.488 -1.522 -1.231
C 1.220 -1.337 -2.564
C 0.972 -0.018 -3.285
C 1.643 0.009 -4.651
H 7.091 0.777 -0.885
H 5.839 2.017 -0.952
H 5.798 0.664 -2.078
H 5.419 0.424 0.962
H 5.372 -0.916 -0.160
H 3.441 0.185 -1.339
H 3.459 1.456 -0.141
H 2.894 -0.129 1.681
H 3.007 -1.491 0.599
H 0.792 1.230 -0.396
H -0.591 -1.577 -1.396
H 0.770 -2.485 -0.792
H 0.908 -2.150 -3.231
H 2.299 -1.468 -2.418
H 1.329 0.817 -2.677
H -0.108 0.134 -3.397
H 2.723 -0.146 -4.558
H 1.492 0.960 -5.167
H 1.257 -0.782 -5.301

No. 3
ORCA calculation (wB97M-V/def2-TZVPD) on a molecular structure, C22H25N3O2 at a distorted geometry.

**Net charge**: 0
**ΔE to the lowest compared entry with this formula, charge and spin**: 507.9 kcal/mol
**Energy**: -1167.34991 hartree
**HOMO-LUMO gap**: 8.54 eV

Atoms and positions in Å:
C 0.247 -2.212 0.276
C -1.109 -1.915 -0.117
C -1.305 -1.590 -1.485
C -0.180 -1.354 -2.347
C 0.975 -1.526 -1.803
C 1.335 -1.994 -0.599
H 2.440 -2.210 -0.226
H 1.848 -1.604 -2.608
C -0.417 -0.835 -3.887
O -0.689 0.523 -3.846
C 0.261 1.274 -3.498
C 0.377 2.586 -4.423
C 1.340 3.723 -3.499
C 0.921 3.911 -2.291
N 0.593 2.880 -1.408
C -0.111 1.965 -2.016
H -0.317 1.176 -1.177
H -1.141 2.447 -2.130
C 0.240 3.098 -0.045
C 0.391 2.040 0.826
~~~

Wanted
The reader should search the rows earlier on for the word "Atoms" and restate each line that has it.

Worked solution
Atoms and positions in Å:
Atoms and positions in Å:
Atoms and positions in Å: